**Assignment:**
Next, restate only the lines further down with the word "sorted" in them.

**Input:**
- - -
# 1
For La12TbTm6, a crystal structure in Alexandria, relaxed with GGA-PBE gives the theoretical powder diffraction line list in this record (copper Kα).
Lines closer than 0.1° are merged.

Principal peaks in the range 2θ = 15–90°, sorted by position:
| 2θ (°) | intensity |
| --- | --- |
| 29.8 | 339 |
| 30.0 | 1000 |
| 34.7 | 679 |
| 49.8 | 244 |
| 50.0 | 240 |
| 59.4 | 429 |

Atomic structure:
Cell lengths 9.6494, 9.6494, 9.6494 Å; angles 110.83, 110.83, 110.83 degrees
Positions (direct):
1 La 0.0576 0.3726 0.5806
2 La 0.1040 0.7369 0.1572
3 La 0.1572 0.1040 0.7369
4 La 0.2631 0.8428 0.8960
5 La 0.3726 0.5806 0.0576
6 La 0.4194 0.9424 0.6274
7 La 0.5806 0.0576 0.3726
8 La 0.6274 0.4194 0.9424
9 La 0.7369 0.1572 0.1040
10 La 0.8428 0.8960 0.2631
11 La 0.8960 0.2631 0.8428
12 La 0.9424 0.6274 0.4194
13 Tb 0.0000 0.0000 0.0000
14 Tm 0.2165 0.4712 0.3188
15 Tm 0.3188 0.2165 0.4712
16 Tm 0.4712 0.3188 0.2165
17 Tm 0.5288 0.6812 0.7835
18 Tm 0.6812 0.7835 0.5288
19 Tm 0.7835 0.5288 0.6812

***

# 2
For Mg4GeS6, a crystal structure in Alexandria, relaxed with GGA-PBE gives the theoretical powder diffraction line list in this record (copper Kα).
Lines closer than 0.1° are merged.

Principal peaks in the range 2θ = 15–90°, sorted by position:
| 2θ (°) | intensity |
| --- | --- |
| 15.4 | 1000 |
| 25.2 | 442 |
| 25.4 | 675 |
| 29.8 | 524 |
| 31.1 | 932 |
| 44.7 | 571 |

Atomic structure:
Cell lengths 7.0523, 7.0523, 12.3105 Å; angles 107.47, 107.47, 59.51 degrees
Positions (direct):
1 Mg 0.0618 0.2894 0.8090
2 Mg 0.0874 0.9126 0.5000
3 Mg 0.1748 0.5521 0.1508
4 Mg 0.2894 0.0618 0.3090
5 Mg 0.5416 0.7640 0.9996
6 Mg 0.5521 0.1748 0.6508
7 Mg 0.7640 0.5416 0.4996
8 Mg 0.9126 0.0874 0.0000
9 Ge 0.1497 0.7074 0.7479
10 Ge 0.7074 0.1497 0.2479
11 S 0.1249 0.5834 0.5582
12 S 0.2658 0.8278 0.1132
13 S 0.3503 0.8901 0.8090
14 S 0.3557 0.3969 0.8224
15 S 0.3969 0.3557 0.3224
16 S 0.4349 0.9154 0.4929
17 S 0.5834 0.1249 0.0582
18 S 0.8173 0.9022 0.7967
19 S 0.8278 0.2658 0.6132
20 S 0.8901 0.3503 0.3090
21 S 0.9022 0.8173 0.2967
22 S 0.9154 0.4349 0.9929

* * * * *

No. 1
This entry pairs a crystal structure of RbIn2Hg8 with its simulated PXRD pattern. Radiation: copper Kα. Structure: a structure optimized by DFT (PBE).
Neutral-atom scattering factors, no anomalous dispersion.

Structural model:
```
RbIn2Hg8
1.0
4.826 0.000 0.000
0.000 4.826 0.000
0.000 0.000 14.712
Rb In Hg
1 2 8
direct
0.000 0.000 0.000 Rb
0.000 0.000 0.354 In
0.000 0.000 0.646 In
0.000 0.500 0.189 Hg
0.000 0.500 0.500 Hg
0.000 0.500 0.811 Hg
0.500 0.000 0.189 Hg
0.500 0.000 0.500 Hg
0.500 0.000 0.811 Hg
0.500 0.500 0.348 Hg
0.500 0.500 0.652 Hg
```

Main lines, most intense first (2θ from 10° to 80°):
| d/Å | 2θ/deg | intensity |
| --- | --- | --- |
| 2.801 | 31.95 | 100 |
| 2.413 | 37.26 | 37 |
| 1.457 | 63.88 | 28 |
| 1.720 | 53.26 | 17 |
| 2.502 | 35.90 | 16 |
| 1.706 | 53.72 | 13 |
| 2.452 | 36.65 | 12 |
| 1.585 | 58.21 | 9 |
| 1.401 | 66.79 | 9 |
| 1.351 | 69.59 | 8 |
| 1.474 | 63.05 | 6 |
| 7.356 | 12.03 | 6 |

***

No. 2
This entry pairs a crystal structure of La2AlCd3 with its simulated PXRD pattern. Radiation: copper Kα. Structure: a structure optimized by DFT (PBE).
Neutral-atom scattering factors, no anomalous dispersion.

Structural model:
```
La2AlCd3
1.0
0.000 4.985 8.649
3.707 0.000 8.649
3.707 4.985 0.000
La Al Cd
4 2 6
direct
0.240 0.760 0.760 La
0.250 0.250 0.250 La
0.750 0.750 0.750 La
0.760 0.240 0.240 La
0.334 0.334 0.666 Al
0.666 0.666 0.334 Al
0.170 0.170 0.830 Cd
0.173 0.658 0.342 Cd
0.342 0.827 0.173 Cd
0.658 0.173 0.827 Cd
0.827 0.342 0.658 Cd
0.830 0.830 0.170 Cd
```

Main lines, most intense first (2θ from 10° to 80°):
| d/Å | 2θ/deg | intensity |
| --- | --- | --- |
| 2.814 | 31.81 | 100 |
| 2.495 | 36.00 | 70 |
| 1.867 | 48.79 | 30 |
| 1.495 | 62.10 | 28 |
| 1.488 | 62.42 | 27 |
| 1.440 | 64.72 | 12 |
| 1.853 | 49.16 | 9 |
| 4.321 | 20.55 | 5 |
| 4.141 | 21.46 | 5 |
| 1.248 | 76.31 | 5 |
| 2.989 | 29.89 | 4 |
| 5.626 | 15.75 | 3 |

***

No. 3
- - -

**Done:**
Principal peaks in the range 2θ = 15–90°, sorted by position:
Principal peaks in the range 2θ = 15–90°, sorted by position: